### Given
┌──
*one*
Here is a molecular structure, C32H35FeIN5OS3 from OMol25. Energies are from the ωB97M-V functional and the def2-TZVPD basis.

Properties
multiplicity	5
HOMO-LUMO gap (alpha / beta)	0.2265 / 0.2293	Eh
net charge	-1

Geometry (Å):
Fe: -0.50 -0.14 -0.29
C: 2.87 -2.25 1.07
N: 1.51 -2.78 1.18
C: 1.49 -4.20 0.95
C: 0.82 -2.31 2.34
C: 0.40 -3.18 3.34
C: -0.31 -2.73 4.45
C: -0.60 -1.38 4.56
C: -0.20 -0.50 3.56
C: 0.50 -0.93 2.44
N: 0.79 -0.09 1.36
C: 1.34 1.14 1.59
C: 1.84 1.61 2.82
C: 2.35 2.89 2.96
C: 2.39 3.76 1.88
C: 1.97 3.30 0.64
C: 1.48 2.02 0.48
N: 1.19 1.46 -0.82
C: 2.38 0.76 -1.31
C: 0.75 2.43 -1.82
H: 3.54 -2.72 1.81
H: 2.85 -1.17 1.24
H: 3.26 -2.44 0.07
H: 2.07 -4.78 1.69
H: 1.91 -4.41 -0.03
H: 0.46 -4.56 0.96
H: 0.63 -4.24 3.26
H: -0.63 -3.43 5.21
H: -1.16 -1.01 5.41
H: -0.49 0.54 3.61
H: 1.80 0.96 3.68
H: 2.70 3.21 3.93
H: 2.75 4.78 2.00
H: 2.03 3.96 -0.22
H: 3.22 1.47 -1.43
H: 2.17 0.31 -2.28
H: 2.67 -0.02 -0.61
H: 1.56 3.12 -2.09
H: -0.09 3.00 -1.43
H: 0.43 1.90 -2.71
I: 0.57 -2.34 -1.63
C: -0.26 -1.68 -3.43
C: 0.08 -2.35 -4.57
C: -0.47 -1.95 -5.81
C: -1.34 -0.90 -5.85
C: -1.69 -0.20 -4.67
C: -2.58 0.90 -4.74
C: -2.90 1.59 -3.61
C: -2.35 1.21 -2.36
C: -1.48 0.16 -2.20
C: -1.15 -0.57 -3.40
H: 0.77 -3.18 -4.53
H: -0.20 -2.48 -6.71
H: -1.78 -0.58 -6.79
H: -2.99 1.18 -5.71
H: -3.57 2.45 -3.65
H: -2.61 1.82 -1.50
C: -0.77 5.07 2.37
O: -1.18 3.71 2.26
C: -1.74 3.29 1.11
S: -1.95 4.33 -0.18
S: -2.07 1.61 1.15
H: -0.32 5.15 3.36
H: -1.62 5.74 2.27
H: -0.04 5.32 1.60
C: -4.08 -0.80 3.15
N: -4.40 -0.61 1.76
C: -5.43 0.19 1.27
C: -5.28 0.26 -0.06
N: -4.18 -0.51 -0.38
C: -3.61 -1.00 0.73
S: -2.18 -1.90 0.84
H: -5.00 -0.94 3.72
H: -3.53 0.07 3.52
H: -3.43 -1.67 3.24
H: -6.15 0.64 1.93
H: -5.84 0.79 -0.81
H: -3.67 -0.49 -1.26



*two*
Here is a molecular structure, C32H35FeIN5OS3 from OMol25. Energies are from the ωB97M-V functional and the def2-TZVPD basis.

Properties
multiplicity	5
HOMO-LUMO gap (alpha / beta)	0.2146 / 0.2155	Eh
net charge	-1

Geometry (Å):
Fe: 0.16 -0.25 -0.39
C: -3.30 2.05 -0.34
N: -2.26 2.28 -1.32
C: -2.78 2.50 -2.65
C: -1.17 3.07 -0.92
C: -0.78 4.20 -1.63
C: 0.30 4.97 -1.24
C: 1.03 4.61 -0.12
C: 0.67 3.49 0.60
C: -0.41 2.68 0.21
N: -0.66 1.48 0.82
C: -0.57 1.35 2.16
C: -0.61 2.44 3.06
C: -0.47 2.25 4.42
C: -0.31 0.97 4.93
C: -0.37 -0.12 4.08
C: -0.53 0.04 2.72
N: -0.79 -1.03 1.80
C: -2.25 -1.18 1.73
C: -0.19 -2.31 2.15
H: -3.95 2.94 -0.20
H: -2.85 1.79 0.61
H: -3.93 1.22 -0.67
H: -3.35 3.44 -2.76
H: -3.43 1.66 -2.91
H: -1.94 2.52 -3.34
H: -1.33 4.51 -2.51
H: 0.57 5.85 -1.80
H: 1.88 5.21 0.19
H: 1.26 3.18 1.44
H: -0.76 3.43 2.67
H: -0.50 3.11 5.08
H: -0.16 0.83 6.00
H: -0.30 -1.11 4.51
H: -2.67 -1.43 2.72
H: -2.51 -1.99 1.04
H: -2.69 -0.25 1.38
H: -0.63 -2.75 3.05
H: 0.88 -2.17 2.30
H: -0.33 -3.01 1.32
I: -1.87 -1.20 -1.82
C: -0.96 -3.20 -1.93
C: -1.68 -4.22 -2.49
C: -1.08 -5.48 -2.64
C: 0.22 -5.66 -2.27
C: 0.98 -4.61 -1.71
C: 2.33 -4.78 -1.37
C: 3.05 -3.75 -0.85
C: 2.42 -2.52 -0.59
C: 1.09 -2.27 -0.88
C: 0.37 -3.33 -1.50
H: -2.70 -4.06 -2.81
H: -1.66 -6.29 -3.06
H: 0.70 -6.62 -2.42
H: 2.79 -5.75 -1.53
H: 4.10 -3.87 -0.60
H: 3.01 -1.76 -0.11
C: 3.56 0.61 4.40
O: 3.23 1.01 3.09
C: 2.98 0.03 2.20
S: 3.16 -1.57 2.64
S: 2.58 0.61 0.67
H: 3.71 1.53 4.97
H: 4.48 0.01 4.40
H: 2.75 0.02 4.83
C: 3.44 2.90 -3.41
N: 3.52 1.47 -3.25
C: 4.63 0.66 -3.39
C: 4.26 -0.59 -3.06
N: 2.92 -0.56 -2.74
C: 2.48 0.72 -2.81
S: 0.93 1.26 -2.57
H: 4.02 3.21 -4.28
H: 3.80 3.41 -2.52
H: 2.40 3.16 -3.56
H: 5.57 1.05 -3.72
H: 4.81 -1.51 -3.06
H: 2.40 -1.29 -2.24



Winner for stability: *one*



*one*
Here is 2 unconnected molecules or ions with the total composition C10H15NO2 from OMol25. Energies are from the ωB97M-V functional and the def2-TZVPD basis.

Properties
multiplicity	1
HOMO-LUMO gap	0.3261	Eh
SMILES	Cc1ccc(O)cc1.CCC(N)=O

Geometry (Å):
C: 4.62 -0.22 -0.33
C: 3.14 -0.43 -0.13
C: 2.44 -1.00 -1.15
C: 1.09 -1.47 -0.98
C: 0.58 -1.35 0.28
O: -0.72 -1.64 0.76
C: 1.33 -0.97 1.45
C: 2.58 -0.34 1.18
H: 5.24 -0.18 0.80
└──
### Activity
Now transcribe the whole of the contents above unchanged.
### Done
*one*
Here is a molecular structure, C32H35FeIN5OS3 from OMol25. Energies are from the ωB97M-V functional and the def2-TZVPD basis.

Properties
multiplicity	5
HOMO-LUMO gap (alpha / beta)	0.2265 / 0.2293	Eh
net charge	-1

Geometry (Å):
Fe: -0.50 -0.14 -0.29
C: 2.87 -2.25 1.07
N: 1.51 -2.78 1.18
C: 1.49 -4.20 0.95
C: 0.82 -2.31 2.34
C: 0.40 -3.18 3.34
C: -0.31 -2.73 4.45
C: -0.60 -1.38 4.56
C: -0.20 -0.50 3.56
C: 0.50 -0.93 2.44
N: 0.79 -0.09 1.36
C: 1.34 1.14 1.59
C: 1.84 1.61 2.82
C: 2.35 2.89 2.96
C: 2.39 3.76 1.88
C: 1.97 3.30 0.64
C: 1.48 2.02 0.48
N: 1.19 1.46 -0.82
C: 2.38 0.76 -1.31
C: 0.75 2.43 -1.82
H: 3.54 -2.72 1.81
H: 2.85 -1.17 1.24
H: 3.26 -2.44 0.07
H: 2.07 -4.78 1.69
H: 1.91 -4.41 -0.03
H: 0.46 -4.56 0.96
H: 0.63 -4.24 3.26
H: -0.63 -3.43 5.21
H: -1.16 -1.01 5.41
H: -0.49 0.54 3.61
H: 1.80 0.96 3.68
H: 2.70 3.21 3.93
H: 2.75 4.78 2.00
H: 2.03 3.96 -0.22
H: 3.22 1.47 -1.43
H: 2.17 0.31 -2.28
H: 2.67 -0.02 -0.61
H: 1.56 3.12 -2.09
H: -0.09 3.00 -1.43
H: 0.43 1.90 -2.71
I: 0.57 -2.34 -1.63
C: -0.26 -1.68 -3.43
C: 0.08 -2.35 -4.57
C: -0.47 -1.95 -5.81
C: -1.34 -0.90 -5.85
C: -1.69 -0.20 -4.67
C: -2.58 0.90 -4.74
C: -2.90 1.59 -3.61
C: -2.35 1.21 -2.36
C: -1.48 0.16 -2.20
C: -1.15 -0.57 -3.40
H: 0.77 -3.18 -4.53
H: -0.20 -2.48 -6.71
H: -1.78 -0.58 -6.79
H: -2.99 1.18 -5.71
H: -3.57 2.45 -3.65
H: -2.61 1.82 -1.50
C: -0.77 5.07 2.37
O: -1.18 3.71 2.26
C: -1.74 3.29 1.11
S: -1.95 4.33 -0.18
S: -2.07 1.61 1.15
H: -0.32 5.15 3.36
H: -1.62 5.74 2.27
H: -0.04 5.32 1.60
C: -4.08 -0.80 3.15
N: -4.40 -0.61 1.76
C: -5.43 0.19 1.27
C: -5.28 0.26 -0.06
N: -4.18 -0.51 -0.38
C: -3.61 -1.00 0.73
S: -2.18 -1.90 0.84
H: -5.00 -0.94 3.72
H: -3.53 0.07 3.52
H: -3.43 -1.67 3.24
H: -6.15 0.64 1.93
H: -5.84 0.79 -0.81
H: -3.67 -0.49 -1.26



*two*
Here is a molecular structure, C32H35FeIN5OS3 from OMol25. Energies are from the ωB97M-V functional and the def2-TZVPD basis.

Properties
multiplicity	5
HOMO-LUMO gap (alpha / beta)	0.2146 / 0.2155	Eh
net charge	-1

Geometry (Å):
Fe: 0.16 -0.25 -0.39
C: -3.30 2.05 -0.34
N: -2.26 2.28 -1.32
C: -2.78 2.50 -2.65
C: -1.17 3.07 -0.92
C: -0.78 4.20 -1.63
C: 0.30 4.97 -1.24
C: 1.03 4.61 -0.12
C: 0.67 3.49 0.60
C: -0.41 2.68 0.21
N: -0.66 1.48 0.82
C: -0.57 1.35 2.16
C: -0.61 2.44 3.06
C: -0.47 2.25 4.42
C: -0.31 0.97 4.93
C: -0.37 -0.12 4.08
C: -0.53 0.04 2.72
N: -0.79 -1.03 1.80
C: -2.25 -1.18 1.73
C: -0.19 -2.31 2.15
H: -3.95 2.94 -0.20
H: -2.85 1.79 0.61
H: -3.93 1.22 -0.67
H: -3.35 3.44 -2.76
H: -3.43 1.66 -2.91
H: -1.94 2.52 -3.34
H: -1.33 4.51 -2.51
H: 0.57 5.85 -1.80
H: 1.88 5.21 0.19
H: 1.26 3.18 1.44
H: -0.76 3.43 2.67
H: -0.50 3.11 5.08
H: -0.16 0.83 6.00
H: -0.30 -1.11 4.51
H: -2.67 -1.43 2.72
H: -2.51 -1.99 1.04
H: -2.69 -0.25 1.38
H: -0.63 -2.75 3.05
H: 0.88 -2.17 2.30
H: -0.33 -3.01 1.32
I: -1.87 -1.20 -1.82
C: -0.96 -3.20 -1.93
C: -1.68 -4.22 -2.49
C: -1.08 -5.48 -2.64
C: 0.22 -5.66 -2.27
C: 0.98 -4.61 -1.71
C: 2.33 -4.78 -1.37
C: 3.05 -3.75 -0.85
C: 2.42 -2.52 -0.59
C: 1.09 -2.27 -0.88
C: 0.37 -3.33 -1.50
H: -2.70 -4.06 -2.81
H: -1.66 -6.29 -3.06
H: 0.70 -6.62 -2.42
H: 2.79 -5.75 -1.53
H: 4.10 -3.87 -0.60
H: 3.01 -1.76 -0.11
C: 3.56 0.61 4.40
O: 3.23 1.01 3.09
C: 2.98 0.03 2.20
S: 3.16 -1.57 2.64
S: 2.58 0.61 0.67
H: 3.71 1.53 4.97
H: 4.48 0.01 4.40
H: 2.75 0.02 4.83
C: 3.44 2.90 -3.41
N: 3.52 1.47 -3.25
C: 4.63 0.66 -3.39
C: 4.26 -0.59 -3.06
N: 2.92 -0.56 -2.74
C: 2.48 0.72 -2.81
S: 0.93 1.26 -2.57
H: 4.02 3.21 -4.28
H: 3.80 3.41 -2.52
H: 2.40 3.16 -3.56
H: 5.57 1.05 -3.72
H: 4.81 -1.51 -3.06
H: 2.40 -1.29 -2.24



Winner for stability: *one*



*one*
Here is 2 unconnected molecules or ions with the total composition C10H15NO2 from OMol25. Energies are from the ωB97M-V functional and the def2-TZVPD basis.

Properties
multiplicity	1
HOMO-LUMO gap	0.3261	Eh
SMILES	Cc1ccc(O)cc1.CCC(N)=O

Geometry (Å):
C: 4.62 -0.22 -0.33
C: 3.14 -0.43 -0.13
C: 2.44 -1.00 -1.15
C: 1.09 -1.47 -0.98
C: 0.58 -1.35 0.28
O: -0.72 -1.64 0.76
C: 1.33 -0.97 1.45
C: 2.58 -0.34 1.18
H: 5.24 -0.18 0.80